Battery Control Box
All controls for the unit are contained in a small, inline audio control box. This should make it
easy to locate, even if it’s on the floor next to your intercom.
Active Cancellation ON/OFF Button
This button, when depressed, will activate the active circuitr y in each dome for canceling
low frequency ambient sound. It functions with a Push “ON”, Push “OFF” motion. A green
flashing light indicates “ON”.
Battery Status Indicator
When the active circuitr y is “ON” the LED button will flash green. When batter y power
falls to 10% capacity for powering the ANR circuit the LED button will change to flashing
red indicating you have 2 hours or less of batter y power to run the ANR system.
NOTE: Should batteries expire, the headset will still function with Audio and Comm.
The ANR and the AUX Audio will no longer operate.
Dual Volume Controls
These controls provide separate volume levels in each ear cup. Move the slide switches
up and down to change the volume levels.
Aux Audio Input
The Aux Audio input allows you to plug in personal audio devices such as Por table
CD Players, MP3 Players, Audible Checklists or Cell Phones.Your headset is supplied
with a 2.5mm patch cord, the evolving standard for hands free headsets in the cell phone
market.This patch cord will plug directly into most phones. If yours does not, please go
to anrheadsets.com to see about an adapter.
Battery Test
By pressing the batter y test button the batter y status indicator light will show Green
for good batter y, or Red for 10% or less power left to run the ANR circuit.
Your QFR headset can be used compatibly with either a Monaural or Stereo intercom
system. With the slide switch in the right position, it is Monaural. When moved to the left,
it is in Stereo.
If you are only receiving audio in one ear, move the slider to the right.
Comm Priority
Turning “On” Comm Priority will automatically mute 80% of the auxiliar y audio signal.
This allows the user to clearly hear radio intercom communications above any auxiliar y
audio in use. Positioning the switch to the right turns Comm Priority “On”, to the left
turns Comm Priority “Off ”.
We Recommend Alkaline AA Batteries.
Non-Alkaline Batteries Decrease
Available Operation 40% to 70%.
Top View
Bottom View
The FCC only allows the use of a cell phone
within the cockpit when the plane is on the ground. By
offering the cell phone interface on the control box,
LightSPEED Aviation does not promote the use of your
cell phone while in the air. If you choose to use your cell
phone in the air, you do so in violation of FCC rules and at
your own risk.The FAA has no position on the use of cell
phones either while on the ground, or in the air. However,
it is the duty of the pilot in command to be sure that
electronic devices used in the plane do not conflict with
the proper operation of the aircraft or its systems.
We don’t promise that this will work with all
phones. Contact LightSPEED if yours does not.
Q F R X C c
User’s Guide
Thank you for purchasing our QFRXCc ANR headset. Based on
hundreds of hours of test flying and a wide range of pre-production
Data records, as found in the file
____________
# ZnAgPO4 (PBE-GGA, relaxed)
# ΔH_f (0 K) = -1.998 eV per atom
# crystal system = triclinic
data_ZnAgPO4
_symmetry_space_group_name_H-M 'P 1'
_symmetry_Int_Tables_number 1
_symmetry_space_group_name_Hall 'P 1'
_cell_length_a 8.391
_cell_length_b 10.293
_cell_length_c 10.299
_cell_angle_alpha 60.13
_cell_angle_beta 89.46
_cell_angle_gamma 89.74
loop_
_atom_site_label
_atom_site_type_symbol
_atom_site_fract_x
_atom_site_fract_y
_atom_site_fract_z
Zn1 Zn 0.000 0.000 0.000
Zn2 Zn 0.000 0.490 0.475
Zn3 Zn 0.003 0.523 0.968
Zn4 Zn 0.451 0.340 0.813
Zn5 Zn 0.500 0.343 0.295
Zn6 Zn 0.500 0.820 0.328
Zn7 Zn 0.503 0.852 0.820
Zn8 Zn 0.951 0.005 0.482
Ag1 Ag 0.167 0.157 0.638
Ag2 Ag 0.172 0.697 0.631
Ag3 Ag 0.174 0.162 0.177
Ag4 Ag 0.178 0.672 0.148
Ag5 Ag 0.670 0.182 0.120
Ag6 Ag 0.670 0.646 0.664
Ag7 Ag 0.672 0.189 0.656
Ag8 Ag 0.678 0.672 0.148
P1 P 0.369 0.007 0.481
P2 P 0.381 0.487 0.470
P3 P 0.382 0.997 0.007
P4 P 0.383 0.533 0.964
P5 P 0.869 0.339 0.812
P6 P 0.879 0.348 0.286
P7 P 0.883 0.811 0.333
P8 P 0.883 0.855 0.825
O1 O 0.014 0.699 0.435
O2 O 0.016 0.355 0.178
O3 O 0.017 0.956 0.834
O4 O 0.185 0.021 0.484
O5 O 0.218 0.417 0.464
O6 O 0.218 0.999 0.078
O7 O 0.220 0.607 0.893
O8 O 0.390 0.857 0.988
O9 O 0.391 0.512 0.124
O10 O 0.393 0.499 0.614
O11 O 0.393 0.647 0.331
O12 O 0.400 0.376 0.976
O13 O 0.404 0.139 0.851
O14 O 0.411 0.860 0.481
O15 O 0.434 0.145 0.335
O16 O 0.438 0.005 0.621
____________
Here the article continues
evaluations, we are confident you will find it to be one of the most
comfor table ANR headsets you have ever owned. The QFRXCc
interfaces with your aircraft communication equipment through the
standard two plug configuration and is compatible with a wide range
of radios and intercoms.The following is an over view of the
features/controls and a few of the fit/function differences that make
this product unlike any other headset you’ve ever owned.